Exercise >
Your job: find "0.250 0.692" and "0.382 0.015" in the material below, and type out these two lines and those between.
Source >
........
# 1
Li4SbS4 | Materials Project | PBE | optimized geometry; ρ = 2452 kg/m3; volume = 376.21 Å³ per cell; symmetry = Cmcm, No. 63; E_tot = -4.04 eV/atom; formation enthalpy at 0 K = -25.9 kcal/mol of atoms
1.0
4.521 -5.199 0.000
4.521 5.199 0.000
0.000 0.000 8.002
Li S Sb
8 8 2
direct
0.582 0.885 0.250 Li
0.418 0.115 0.750 Li
0.157 0.843 0.500 Li
0.157 0.843 0.000 Li
0.115 0.418 0.750 Li
0.843 0.157 0.000 Li
0.843 0.157 0.500 Li
0.885 0.582 0.250 Li
0.796 0.796 0.009 S
0.796 0.796 0.491 S
0.250 0.692 0.250 S
0.750 0.308 0.750 S
0.204 0.204 0.991 S
0.204 0.204 0.509 S
0.308 0.750 0.750 S
0.692 0.250 0.250 S
0.354 0.354 0.250 Sb
0.646 0.646 0.750 Sb

# 2
Sm3SnC | Materials Project | PBE | optimized geometry; ρ = 5117 kg/m3; volume = 188.78 Å³ per cell; symmetry = Pm-3m, No. 221; E_tot = -4.05 eV/atom; formation enthalpy at 0 K = 32.9 kcal/mol of atoms
1.0
-3.703 2.198 3.790
-2.125 -5.241 0.963
3.832 -0.783 4.197
Sm C Sn
3 1 1
direct
0.500 0.500 0.000 Sm
0.000 0.500 0.500 Sm
0.500 0.000 0.500 Sm
0.000 0.000 0.000 C
0.500 0.500 0.500 Sn

# 3
TbTi2Ga4 | Materials Project | PBE | optimized geometry; ρ = 7066 kg/m3; volume = 125.39 Å³ per cell; symmetry = I4/mmm, No. 139; E_tot = -5.18 eV/atom; formation enthalpy at 0 K = -12.4 kcal/mol of atoms
1.0
0.000 0.000 -5.447
-3.393 -3.393 -2.724
-3.393 3.393 -2.724
Ga Tb Ti
4 1 2
direct
0.303 0.000 0.395 Ga
0.303 0.395 0.000 Ga
0.697 0.000 0.605 Ga
0.697 0.605 0.000 Ga
0.000 0.000 0.000 Tb
0.750 0.500 0.500 Ti
0.250 0.500 0.500 Ti

# 4
Na6MgNb5Si6P3O36 | Materials Project | PBE | optimized geometry; ρ = 3080 kg/m3; volume = 1578.94 Å³ per cell; symmetry = Cc, No. 9; E_tot = -7.55 eV/atom; formation enthalpy at 0 K = -67.9 kcal/mol of atoms
1.0
-0.945 2.366 -8.600
6.809 -5.285 2.482
-12.873 -18.314 -3.600
O Na P Mg Nb Si
72 12 6 2 10 12
direct
0.835 0.817 0.590 O
0.853 0.357 0.924 O
0.986 0.809 0.805 O
0.506 0.640 0.857 O
0.700 0.160 0.029 O
0.191 0.014 0.305 O
0.183 0.165 0.090 O
0.186 0.028 0.591 O
0.889 0.508 0.145 O
0.833 0.318 0.250 O
0.492 0.111 0.645 O
0.635 0.516 0.648 O
0.024 0.835 0.408 O
0.509 0.860 0.075 O
0.971 0.169 0.590 O
0.530 0.700 0.254 O
0.477 0.166 0.528 O
0.360 0.494 0.357 O
0.830 0.013 0.806 O
0.643 0.147 0.424 O
0.027 0.191 0.909 O
0.030 0.831 0.695 O
0.506 0.144 0.924 O
0.502 0.654 0.576 O
0.168 0.694 0.472 O
0.639 0.494 0.923 O
0.527 0.692 0.973 O
0.694 0.526 0.529 O
0.809 0.973 0.409 O
0.192 0.176 0.805 O
0.346 0.498 0.076 O
0.635 0.119 0.140 O
0.464 0.310 0.748 O
0.306 0.832 0.972 O
0.178 0.479 0.254 O
0.474 0.306 0.029 O
0.881 0.365 0.640 O
0.160 0.466 0.976 O
0.840 0.538 0.747 O
0.462 0.160 0.247 O
0.690 0.536 0.248 O
0.166 0.188 0.410 O
0.484 0.365 0.148 O
0.295 0.829 0.254 O
0.987 0.170 0.306 O
0.682 0.167 0.750 O
0.149 0.650 0.074 O
0.534 0.840 0.476 O
0.134 0.638 0.356 O
0.803 0.827 0.195 O
0.834 0.523 0.028 O
0.824 0.808 0.305 O
0.972 0.814 0.091 O
0.350 0.851 0.574 O
0.831 0.029 0.090 O
0.300 0.470 0.754 O
0.140 0.491 0.575 O
0.171 0.705 0.754 O
0.141 0.501 0.860 O
0.362 0.866 0.856 O
0.165 0.976 0.908 O
0.856 0.494 0.424 O
0.169 0.970 0.195 O
0.521 0.822 0.754 O
0.499 0.859 0.360 O
0.026 0.197 0.191 O
0.506 0.361 0.423 O
0.173 0.197 0.695 O
0.308 0.473 0.473 O
0.803 0.974 0.691 O
0.840 0.300 0.529 O
0.812 0.834 0.910 O
0.025 0.340 0.086 Na
0.985 0.618 0.241 Na
0.002 0.987 0.999 Na
0.013 0.998 0.499 Na
0.671 0.319 0.331 Na
0.311 0.645 0.664 Na
0.382 0.015 0.741 Na
0.681 0.329 0.831 Na
0.378 0.370 0.240 Na
0.630 0.622 0.740 Na
0.660 0.975 0.586 Na
0.355 0.689 0.164 Na
0.284 0.288 0.751 P
0.001 0.713 0.751 P
0.287 0.999 0.251 P
0.663 0.045 0.085 P
0.955 0.337 0.585 P
0.712 0.716 0.251 P
0.673 0.332 0.685 Mg
0.668 0.327 0.185 Mg
0.996 0.003 0.858 Nb
0.334 0.668 0.814 Nb
0.332 0.666 0.314 Nb
0.332 0.667 0.521 Nb
0.997 0.004 0.358 Nb
0.002 0.001 0.143 Nb
0.999 0.998 0.643 Nb
0.663 0.338 0.979 Nb
0.662 0.337 0.479 Nb
0.333 0.668 0.021 Nb
0.384 0.338 0.088 Si
0.711 0.007 0.750 Si
0.335 0.379 0.417 Si
0.379 0.046 0.586 Si
0.954 0.621 0.086 Si
0.621 0.958 0.418 Si
........
Reply >
0.250 0.692 0.250 S
0.750 0.308 0.750 S
0.204 0.204 0.991 S
0.204 0.204 0.509 S
0.308 0.750 0.750 S
0.692 0.250 0.250 S
0.354 0.354 0.250 Sb
0.646 0.646 0.750 Sb

# 2
Sm3SnC | Materials Project | PBE | optimized geometry; ρ = 5117 kg/m3; volume = 188.78 Å³ per cell; symmetry = Pm-3m, No. 221; E_tot = -4.05 eV/atom; formation enthalpy at 0 K = 32.9 kcal/mol of atoms
1.0
-3.703 2.198 3.790
-2.125 -5.241 0.963
3.832 -0.783 4.197
Sm C Sn
3 1 1
direct
0.500 0.500 0.000 Sm
0.000 0.500 0.500 Sm
0.500 0.000 0.500 Sm
0.000 0.000 0.000 C
0.500 0.500 0.500 Sn

# 3
TbTi2Ga4 | Materials Project | PBE | optimized geometry; ρ = 7066 kg/m3; volume = 125.39 Å³ per cell; symmetry = I4/mmm, No. 139; E_tot = -5.18 eV/atom; formation enthalpy at 0 K = -12.4 kcal/mol of atoms
1.0
0.000 0.000 -5.447
-3.393 -3.393 -2.724
-3.393 3.393 -2.724
Ga Tb Ti
4 1 2
direct
0.303 0.000 0.395 Ga
0.303 0.395 0.000 Ga
0.697 0.000 0.605 Ga
0.697 0.605 0.000 Ga
0.000 0.000 0.000 Tb
0.750 0.500 0.500 Ti
0.250 0.500 0.500 Ti

# 4
Na6MgNb5Si6P3O36 | Materials Project | PBE | optimized geometry; ρ = 3080 kg/m3; volume = 1578.94 Å³ per cell; symmetry = Cc, No. 9; E_tot = -7.55 eV/atom; formation enthalpy at 0 K = -67.9 kcal/mol of atoms
1.0
-0.945 2.366 -8.600
6.809 -5.285 2.482
-12.873 -18.314 -3.600
O Na P Mg Nb Si
72 12 6 2 10 12
direct
0.835 0.817 0.590 O
0.853 0.357 0.924 O
0.986 0.809 0.805 O
0.506 0.640 0.857 O
0.700 0.160 0.029 O
0.191 0.014 0.305 O
0.183 0.165 0.090 O
0.186 0.028 0.591 O
0.889 0.508 0.145 O
0.833 0.318 0.250 O
0.492 0.111 0.645 O
0.635 0.516 0.648 O
0.024 0.835 0.408 O
0.509 0.860 0.075 O
0.971 0.169 0.590 O
0.530 0.700 0.254 O
0.477 0.166 0.528 O
0.360 0.494 0.357 O
0.830 0.013 0.806 O
0.643 0.147 0.424 O
0.027 0.191 0.909 O
0.030 0.831 0.695 O
0.506 0.144 0.924 O
0.502 0.654 0.576 O
0.168 0.694 0.472 O
0.639 0.494 0.923 O
0.527 0.692 0.973 O
0.694 0.526 0.529 O
0.809 0.973 0.409 O
0.192 0.176 0.805 O
0.346 0.498 0.076 O
0.635 0.119 0.140 O
0.464 0.310 0.748 O
0.306 0.832 0.972 O
0.178 0.479 0.254 O
0.474 0.306 0.029 O
0.881 0.365 0.640 O
0.160 0.466 0.976 O
0.840 0.538 0.747 O
0.462 0.160 0.247 O
0.690 0.536 0.248 O
0.166 0.188 0.410 O
0.484 0.365 0.148 O
0.295 0.829 0.254 O
0.987 0.170 0.306 O
0.682 0.167 0.750 O
0.149 0.650 0.074 O
0.534 0.840 0.476 O
0.134 0.638 0.356 O
0.803 0.827 0.195 O
0.834 0.523 0.028 O
0.824 0.808 0.305 O
0.972 0.814 0.091 O
0.350 0.851 0.574 O
0.831 0.029 0.090 O
0.300 0.470 0.754 O
0.140 0.491 0.575 O
0.171 0.705 0.754 O
0.141 0.501 0.860 O
0.362 0.866 0.856 O
0.165 0.976 0.908 O
0.856 0.494 0.424 O
0.169 0.970 0.195 O
0.521 0.822 0.754 O
0.499 0.859 0.360 O
0.026 0.197 0.191 O
0.506 0.361 0.423 O
0.173 0.197 0.695 O
0.308 0.473 0.473 O
0.803 0.974 0.691 O
0.840 0.300 0.529 O
0.812 0.834 0.910 O
0.025 0.340 0.086 Na
0.985 0.618 0.241 Na
0.002 0.987 0.999 Na
0.013 0.998 0.499 Na
0.671 0.319 0.331 Na
0.311 0.645 0.664 Na
0.382 0.015 0.741 Na